Source:
┌──
Record 1
C30H62N4O7PS | ωB97M-V/def2-TZVPD

Summary:
HOMO-LUMO gap   7.18 eV
M   653.89 g/mol
Total energy   -72523.284 eV
HOMO level   -10.2 eV
E_LUMO   -0.1124 Ha

Geometry as ORCA input:
```
! wB97M-V def2-TZVPD RIJCOSX def2/J DEFGRID3
* xyz 1 1
H 7.031 6.972 -1.639
H -7.667 -4.101 5.501
H 2.206 3.158 8.481
C -5.322 -2.651 5.636
O 6.639 5.015 -2.217
C 8.781 4.167 -1.646
H 3.494 0.048 -7.921
H -5.036 -3.478 6.294
H 0.729 1.205 2.065
H 7.128 3.013 -2.488
H -6.816 -2.460 3.082
N 3.840 3.492 -2.405
N 0.904 2.127 -1.373
H -0.917 0.601 1.799
C -6.637 -3.263 3.805
H -0.835 4.337 2.559
H 0.000 0.306 -5.678
H -2.962 -6.809 -3.562
H 1.296 -0.157 -8.927
H -0.343 -5.287 -6.419
C -0.331 1.431 2.200
H -2.596 -4.446 -6.155
H -2.774 2.105 3.288
H -1.380 1.399 -2.162
N 2.794 3.453 -1.560
H 1.047 1.292 10.083
O -2.693 -4.835 -4.141
H 2.703 0.375 -5.338
H 0.080 -4.839 -4.760
S -0.170 -0.714 -0.818
H -1.783 -7.084 -5.621
H -4.595 -1.846 5.753
H -1.711 -3.300 -5.128
H 9.280 4.042 -2.610
C -7.548 -3.130 5.013
H -2.317 3.849 1.714
H -1.846 -4.542 -0.983
C 7.545 6.129 -2.100
H 0.622 2.668 -0.550
C -1.955 -4.354 -5.272
H -8.538 -2.752 4.759
C 1.230 2.682 8.391
H -6.880 -1.163 5.577
H 0.342 3.262 6.480
C 7.309 3.820 -1.774
C 1.493 0.790 -8.417
H -2.544 -2.984 -1.448
C -1.217 -6.553 -4.851
N 2.616 1.786 -3.107
C 3.753 2.517 -3.289
C -0.687 1.713 3.647
C -1.459 3.482 2.278
H 9.646 6.183 -1.502
H -0.422 -7.209 -4.500
H 1.590 1.575 -9.167
H 1.707 2.132 6.345
H -1.605 -5.953 -2.801
H -4.031 -5.554 -0.792
C 8.727 5.642 -1.280
H -4.396 -1.953 0.403
H 4.487 2.308 -4.074
H 2.080 0.740 8.759
H 0.489 3.330 8.865
H -4.323 -4.419 -2.126
C 2.713 0.689 -7.514
H -4.709 -3.137 1.689
H -2.129 -2.632 0.924
C 2.101 0.170 -6.223
C -0.720 -5.228 -5.398
H -6.751 -4.221 3.295
H 2.635 4.111 -0.805
C 2.048 2.404 -2.020
O -0.670 2.613 1.446
C -2.150 -6.103 -3.740
C -4.026 -4.496 -1.080
H 9.299 3.551 -0.912
H 6.883 3.533 -0.807
C -2.818 -3.427 0.636
H -2.038 3.287 4.379
O -5.293 -3.131 4.286
H 0.859 1.867 -5.733
H 0.358 0.493 -3.293
H 4.607 4.166 -2.391
C -0.017 0.683 8.271
H -7.019 -2.256 6.960
H -2.649 -4.282 1.297
H 0.065 -0.400 8.168
H 1.951 -0.910 -6.291
C 1.168 1.292 9.001
P -0.095 0.808 -1.982
C -6.747 -2.197 5.907
O -0.057 1.288 6.971
C -1.862 2.669 3.499
H 3.138 1.684 -7.351
C -2.679 -3.861 -0.808
C 0.835 2.408 6.950
H -0.958 0.915 8.780
H 7.854 6.418 -3.108
C -4.275 -3.002 0.698
C 0.768 0.880 -6.205
O -4.980 -3.812 -0.254
H 0.143 2.220 4.145
H -0.923 0.812 4.210
H 8.514 5.752 -0.214
O 0.375 1.075 -7.562
*
```

Mulliken population analysis, charges in e, atoms 1 to 8:
1. H 0.286
2. H 0.276
3. H 0.342
4. C -0.398
5. O -0.448
6. C -0.590
7. H 0.355
8. H 0.267

Record 2
C2H3N2O | ωB97M-V/def2-TZVPD

Summary:
Energy above the lowest of the compared OMol25 structures with the same formula, charge and spin   84.5 kcal/mol
HOMO-LUMO gap (spin up / spin down)   10.37 / 10.38 eV
M   71.06 g/mol
Total energy   -7138.718 eV
HOMO level (spin up / spin down)   -18.1 / -18.1 eV
E_LUMO (spin up / spin down)   -0.2830 / -0.2829 Ha

Geometry as ORCA input:
```
! wB97M-V def2-TZVPD RIJCOSX def2/J DEFGRID3
* xyz 1 1
C -0.595 0.538 -0.560
H -1.006 1.510 1.434
N 0.939 -0.485 1.184
C 0.872 -1.012 0.072
O 0.157 -0.483 -0.964
H 1.413 -1.782 -0.492
H -1.254 0.794 -1.347
N -0.526 0.920 0.673
*
```

Partial atomic charges computed with the Mulliken method, in multiples of e:
1. C 0.244
2. H 0.349
3. N -0.158
4. C 0.246
5. O -0.203
6. H 0.391
7. H 0.446
8. N -0.315

Record 3
C4H8O2 | ωB97M-V/def2-TZVPD

Summary:
Energy above the lowest of the compared OMol25 structures with the same formula, charge and spin   138.0 kcal/mol
HOMO-LUMO gap (spin up / spin down)   8.53 / 8.53 eV
M   88.11 g/mol
Total energy   -8367.296 eV
HOMO level (spin up / spin down)   -7.9 / -7.9 eV
E_LUMO (spin up / spin down)   0.0238 / 0.0238 Ha

Geometry as ORCA input:
```
! wB97M-V def2-TZVPD RIJCOSX def2/J DEFGRID3
* xyz 0 1
H -0.077 -1.116 -1.379
H -2.278 0.920 0.299
H -2.656 -0.886 0.161
C -2.085 -0.119 0.626
└──

What to do:
The reader should retype the part of the material above that starts with the line with "-2.596 -4.446" and stops after the one with "0.391".

Done:
H -2.596 -4.446 -6.155
H -2.774 2.105 3.288
H -1.380 1.399 -2.162
N 2.794 3.453 -1.560
H 1.047 1.292 10.083
O -2.693 -4.835 -4.141
H 2.703 0.375 -5.338
H 0.080 -4.839 -4.760
S -0.170 -0.714 -0.818
H -1.783 -7.084 -5.621
H -4.595 -1.846 5.753
H -1.711 -3.300 -5.128
H 9.280 4.042 -2.610
C -7.548 -3.130 5.013
H -2.317 3.849 1.714
H -1.846 -4.542 -0.983
C 7.545 6.129 -2.100
H 0.622 2.668 -0.550
C -1.955 -4.354 -5.272
H -8.538 -2.752 4.759
C 1.230 2.682 8.391
H -6.880 -1.163 5.577
H 0.342 3.262 6.480
C 7.309 3.820 -1.774
C 1.493 0.790 -8.417
H -2.544 -2.984 -1.448
C -1.217 -6.553 -4.851
N 2.616 1.786 -3.107
C 3.753 2.517 -3.289
C -0.687 1.713 3.647
C -1.459 3.482 2.278
H 9.646 6.183 -1.502
H -0.422 -7.209 -4.500
H 1.590 1.575 -9.167
H 1.707 2.132 6.345
H -1.605 -5.953 -2.801
H -4.031 -5.554 -0.792
C 8.727 5.642 -1.280
H -4.396 -1.953 0.403
H 4.487 2.308 -4.074
H 2.080 0.740 8.759
H 0.489 3.330 8.865
H -4.323 -4.419 -2.126
C 2.713 0.689 -7.514
H -4.709 -3.137 1.689
H -2.129 -2.632 0.924
C 2.101 0.170 -6.223
C -0.720 -5.228 -5.398
H -6.751 -4.221 3.295
H 2.635 4.111 -0.805
C 2.048 2.404 -2.020
O -0.670 2.613 1.446
C -2.150 -6.103 -3.740
C -4.026 -4.496 -1.080
H 9.299 3.551 -0.912
H 6.883 3.533 -0.807
C -2.818 -3.427 0.636
H -2.038 3.287 4.379
O -5.293 -3.131 4.286
H 0.859 1.867 -5.733
H 0.358 0.493 -3.293
H 4.607 4.166 -2.391
C -0.017 0.683 8.271
H -7.019 -2.256 6.960
H -2.649 -4.282 1.297
H 0.065 -0.400 8.168
H 1.951 -0.910 -6.291
C 1.168 1.292 9.001
P -0.095 0.808 -1.982
C -6.747 -2.197 5.907
O -0.057 1.288 6.971
C -1.862 2.669 3.499
H 3.138 1.684 -7.351
C -2.679 -3.861 -0.808
C 0.835 2.408 6.950
H -0.958 0.915 8.780
H 7.854 6.418 -3.108
C -4.275 -3.002 0.698
C 0.768 0.880 -6.205
O -4.980 -3.812 -0.254
H 0.143 2.220 4.145
H -0.923 0.812 4.210
H 8.514 5.752 -0.214
O 0.375 1.075 -7.562
*
```

Mulliken population analysis, charges in e, atoms 1 to 8:
1. H 0.286
2. H 0.276
3. H 0.342
4. C -0.398
5. O -0.448
6. C -0.590
7. H 0.355
8. H 0.267

Record 2
C2H3N2O | ωB97M-V/def2-TZVPD

Summary:
Energy above the lowest of the compared OMol25 structures with the same formula, charge and spin   84.5 kcal/mol
HOMO-LUMO gap (spin up / spin down)   10.37 / 10.38 eV
M   71.06 g/mol
Total energy   -7138.718 eV
HOMO level (spin up / spin down)   -18.1 / -18.1 eV
E_LUMO (spin up / spin down)   -0.2830 / -0.2829 Ha

Geometry as ORCA input:
```
! wB97M-V def2-TZVPD RIJCOSX def2/J DEFGRID3
* xyz 1 1
C -0.595 0.538 -0.560
H -1.006 1.510 1.434
N 0.939 -0.485 1.184
C 0.872 -1.012 0.072
O 0.157 -0.483 -0.964
H 1.413 -1.782 -0.492
H -1.254 0.794 -1.347
N -0.526 0.920 0.673
*
```

Partial atomic charges computed with the Mulliken method, in multiples of e:
1. C 0.244
2. H 0.349
3. N -0.158
4. C 0.246
5. O -0.203
6. H 0.391